## Data
┌──
(1)
{
  "formula": "Li6V3P8O29",
  "functional": "PBE with a Hubbard U",
  "state": "optimized geometry",
  "cell": [[9.8082, 0.0000, 0.0000], [-4.8977, -8.5199, 0.0000], [-0.1632, 0.0486, -14.0142]],
  "species": ["O", "P", "O", "P", "Li", "O", "O", "O", "O", "O", "Li", "O", "V", "V", "O", "Li", "O", "O", "O", "Li", "O", "O", "O", "O", "Li", "V", "O", "P", "O", "P", "O", "O", "O", "O", "O", "Li", "P", "P", "O", "O", "O", "P", "P", "O", "P", "O", "O", "Li", "Li", "O", "O", "P", "O", "P", "P", "O", "P", "Li", "Li", "O", "O", "O", "O", "O", "O", "O", "O", "O", "V", "O", "O", "O", "O", "O", "O", "O", "P", "O", "V", "O", "O", "Li", "P", "O", "V", "Li", "O", "O", "P", "O", "O", "O"],
  "frac_coords": [[0.7558, 0.0019, 0.0673], [0.6902, 0.9154, 0.3419], [0.6682, 0.9218, 0.8413], [0.9076, 0.6816, 0.1584], [0.6732, 0.9072, 0.5540], [0.3309, 0.0804, 0.1609], [0.7722, 0.7596, 0.9234], [0.6792, 0.3447, 0.4780], [0.7929, 0.9997, 0.2486], [0.0011, 0.2119, 0.7524], [0.0850, 0.3134, 0.0659], [0.6611, 0.1822, 0.8235], [0.5628, 0.0005, 0.7474], [0.4365, 0.4364, 0.7504], [0.3386, 0.6661, 0.5220], [0.7790, 0.0807, 0.9439], [0.9161, 0.6663, 0.6589], [0.1802, 0.5106, 0.1658], [0.3312, 0.6596, 0.0228], [0.7667, 0.6654, 0.4346], [0.4790, 0.3761, 0.1769], [0.0838, 0.3422, 0.3370], [0.3730, 0.8842, 0.8257], [0.0074, 0.7869, 0.4289], [0.3143, 0.2215, 0.9458], [0.5649, 0.5662, 0.2491], [0.4588, 0.0787, 0.6652], [0.3174, 0.2305, 0.1609], [0.9128, 0.2520, 0.1597], [0.9153, 0.2298, 0.6581], [0.2132, 0.0077, 0.7589], [0.7432, 0.6587, 0.1589], [0.1177, 0.4894, 0.8242], [0.5166, 0.3351, 0.8274], [0.6166, 0.5269, 0.6694], [0.0524, 0.0104, 0.4820], [0.3037, 0.0830, 0.6586], [0.2266, 0.3137, 0.3430], [0.2576, 0.9147, 0.3360], [0.0796, 0.7446, 0.8405], [0.2543, 0.3338, 0.8462], [0.0888, 0.7736, 0.3401], [0.3288, 0.6642, 0.1303], [0.2384, 0.2414, 0.0704], [0.6868, 0.7742, 0.8400], [0.9123, 0.3849, 0.6739], [0.5173, 0.6292, 0.8252], [0.9006, 0.2381, 0.4350], [0.2401, 0.3315, 0.5568], [0.2045, 0.2075, 0.2500], [0.6151, 0.0941, 0.1782], [0.6676, 0.3336, 0.8701], [0.3249, 0.5129, 0.6713], [0.6687, 0.3361, 0.3715], [0.7682, 0.6851, 0.6547], [0.2462, 0.9944, 0.9362], [0.2306, 0.9093, 0.8443], [0.9080, 0.6815, 0.9455], [0.2263, 0.9061, 0.0684], [0.0870, 0.6185, 0.3327], [0.4739, 0.6615, 0.1777], [0.8108, 0.3228, 0.3307], [0.3831, 0.4667, 0.3360], [0.0051, 0.2365, 0.5699], [0.6778, 0.4918, 0.3300], [0.0011, 0.7562, 0.0699], [0.1953, 0.9887, 0.5784], [0.6600, 0.3230, 0.9757], [0.0003, 0.5682, 0.7471], [0.9977, 0.2479, 0.9318], [0.7841, 0.0051, 0.4300], [0.7859, 0.7966, 0.7432], [0.8151, 0.4812, 0.8309], [0.5330, 0.9117, 0.3319], [0.1882, 0.6776, 0.6653], [0.2078, 0.2205, 0.4325], [0.3339, 0.6668, 0.6282], [0.3320, 0.2516, 0.6593], [0.4348, 0.0050, 0.2544], [0.9021, 0.5227, 0.1773], [0.7670, 0.7669, 0.5636], [0.3451, 0.6685, 0.8902], [0.0919, 0.3230, 0.8439], [0.0000, 0.7940, 0.2487], [0.9956, 0.4319, 0.2489], [0.0990, 0.7652, 0.5563], [0.7483, 0.0863, 0.6565], [0.4886, 0.8127, 0.6709], [0.7655, 0.0850, 0.1576], [0.3272, 0.8134, 0.1664], [0.6693, 0.7497, 0.3422], [0.5165, 0.1958, 0.3282]],
  "e_above_lowest_polymorph_mev_per_atom": 5,
  "energy_mp2020_ev_per_cell": -695.507,
  "energy_ev_per_atom": -7.02,
  "formation_energy_ev_per_atom": -2.658
}

=====

(2)
{
  "formula": "Fe4CoBi5O15",
  "functional": "PBE with a Hubbard U",
  "state": "optimized geometry",
  "cell": [[-1.1298, -1.7599, -5.1995], [-2.2172, -7.5041, 5.9919], [-9.8098, 7.3353, 2.6283]],
  "species": ["O", "Bi", "Bi", "Bi", "O", "O", "O", "O", "O", "O", "O", "O", "Fe", "O", "O", "O", "O", "Fe", "Bi", "O", "Fe", "O", "O", "Co", "O", "Fe", "Bi", "Fe", "Bi", "O", "O", "Bi", "O", "O", "Fe", "O", "Bi", "O", "Bi", "Co", "O", "O", "O", "Fe", "Fe", "O", "O", "O", "Bi", "O"],
└──

## Wanted
Your job: say how many lines of the listing further above hold the word "geometry", as a bare number.

## Worked solution
2